This Is Why Testosterone Is The Most Important Hormone For Bros, In Life And In The Bedroom

Blackboard with the chemical formula of testosterone

iStockphoto / Zerbor

I think every bro has heard of testosterone. And as bros, we know it’s important, but most don’t know why, and just how important it actually is.

This is not only evident by the continuously decreasing testosterone levels in men today, but their reluctance to do anything about it. In fact, research suggests that around 25% of men suffer from low testosterone, although this number could be higher because many doctors don’t immediately think or test for low T, especially in younger males.

In this article, we’re going to talk about the importance of testosterone, why having low T is bad for your health, and how you can make sure you keep your levels are where they should be.

Role of Testosterone

Testosterones main function in men is maintaining sex drive, sexual performance, sperm production, bone and muscle mass, energy levels, mood, and overall health.

Testosterone is mainly secreted by the sex organs, and to a lesser extent the adrenal glands. For males, the normal range runs between 300-1,000 ng/dl. But here’s the deal; as we age, testosterone production naturally decreases. So while this range is considered normal, the younger you are, the higher on the range you should be.

Testosterone, Exercise, and Body Composition

While testosterone is essential for maintaining lean tissue, it does not aid in muscle building as much as people think. Yes it does help, but according to this study, the muscle gains seen by increasing testosterone levels were not significant until levels exceeded the normal range, i.e. what you would see from people using steroids.

What it does seem to have a significant impact on however, is fat loss. This study showed that the higher your testosterone levels, the leaner you tend to be. This is because testosterone naturally inhibits the creation of fat cells. And unlike with muscle building, increasing your testosterone within the normal range does seem to significantly impact fat loss.

Testosterone and Health

Testosterone plays a key role in maintaining bone density, which helps stave of osteoporosis. And, since testosterone helps prevent the accumulation of fat mass, it also helps prevent the diseases associated with higher body fat levels, like heart disease, diabetes, and certain cancers.

Testosterone also affects our mental health, specifically our risk for depression. And while it’s not completely clear whether low testosterone causes depression, or depression contributes to low testosterone, it’s clear the two are linked.

Testosterone and Sex

For many people, this is where signs of low T are most prevalent. Testosterone is responsible for pretty much everything having to do with your sex life.

While there is no definition of a “normal” sex drive, any noticeable drop in sexual desire or libido could be a sign of low testosterone. This also includes lack of sexual enjoyment, arousal, erection quality, and performance.

Getting Checked and Treatment

Whether you think you might be suffering from low T or not, it’s important to get yourself checked so you have a baseline. It’s best to start in your early 20’s and then get retested every 3-5 years to keep tabs on your levels.

On average, men’s testosterone levels decline about 1% per year after age 30. What scientists are discovering however, is this has less to do with actual aging, and more to do with how men take care of themselves as they age.

In order to make sure your T levels stay as high as possible, or to help increase low T levels, here are some things you can do naturally…

Increase consumption of healthy fats and cholesterol

Diets with a higher intake of saturated and monosaturated fats have been shown to increase testosterone levels because fats play a key role in hormone production. Similarly, because testosterone comes from cholesterol, it only makes sense that low HDL cholesterol levels (the good kind) would lead to lower levels of testosterone as well.

Examples of the right kinds of foods to include in your diet are red meat, cheese, eggs, olive and coconut oil, nuts, avocados, and peanut butter.


Most supplements claiming to raise T levels are complete garbage. About the only ones that have shown any positive relationship to high testosterone levels are Vitamin D3 and Omega-3 fish oil.

This study showed that supplementing with vitamin D3 can boost testosterone levels, while fish oil has been shown to help increase the production of Luteinizing Hormone, which is a precursor for testosterone production.

Perform regular high-intensity exercise

There is an overwhelming amount of research that says regular high-intensity exercise, like resistance training, can greatly increase the amount of testosterone the body produces.

This means performing exercises like squats, deadlifts, rows, presses, and chin-ups. All of these are compound, multi-joint movements that will stimulate the release of the most amount of testosterone.

[What comes next are materials data, not part of the page]
____________
1.
Material: ZrSb2TeI
Method: DFT, PBE
State: optimized geometry

abc: 5.6204 5.6204 5.6749
angles: 90.00 90.00 90.00
Positions (direct):
I 0.0000 0.0000 0.0000
Sb 0.0000 0.5000 0.0000
Sb 0.5000 0.0000 0.0000
Te 0.0000 0.0000 0.5000
Zr 0.5000 0.5000 0.5000

Calculated values
ΔE to the lowest computed polymorph in eV per atom: 1.132
Energy in eV per atom: -3.108
Total magnetic moment in μB per formula unit: 0.00
D(E_F) in states/eV/atom: 1.198

2.
Material: ZrSbTe2I
Method: DFT, PBE
State: optimized geometry

abc: 5.5175 5.5175 5.8233
angles: 90.00 90.00 90.00
Positions (direct):
I 0.5000 0.5000 0.5000
Sb 0.0000 0.0000 0.5000
Te 0.0000 0.5000 0.0000
Te 0.5000 0.0000 0.0000
Zr 0.0000 0.0000 0.0000

Calculated values
ΔE to the lowest computed polymorph in eV per atom: 0.000
Energy in eV per atom: -4.144
Total magnetic moment in μB per formula unit: 0.00
D(E_F) in states/eV/atom: 0.911

3.
Material: ZrSbTeI2
Method: DFT, PBE
State: optimized geometry

abc: 5.8142 5.8142 5.9449
angles: 90.00 90.00 90.00
Positions (direct):
I 0.0000 0.5000 0.0000
I 0.5000 0.0000 0.0000
Sb 0.0000 0.0000 0.0000
Te 0.0000 0.0000 0.5000
Zr 0.5000 0.5000 0.5000

Calculated values
ΔE to the lowest computed polymorph in eV per atom: 0.679
Energy in eV per atom: -3.107
Total magnetic moment in μB per formula unit: 2.34
D(E_F) in states/eV/atom: 1.800
____________

Get enough sleep

____________
(a)
Density functional theory data (PBE) for crystalline Ba2SrTlPd at its relaxed geometry.

Geometry as extended XYZ:
```
5
Lattice="6.226 0.000 0.000 0.000 6.226 0.000 0.000 0.000 5.482" Properties=species:S:1:pos:R:3 pbc="T T T"
Ba 0.000 3.113 0.000
Ba 3.113 0.000 0.000
Sr 0.000 0.000 2.741
Tl 3.113 3.113 2.741
Pd 3.113 3.113 0.000
```

=====

(b)
Density functional theory data (PBE) for crystalline Ba2SrTlPd at its relaxed geometry.

Geometry as extended XYZ:
```
5
Lattice="6.167 0.000 0.000 0.000 6.167 0.000 0.000 0.000 5.918" Properties=species:S:1:pos:R:3 pbc="T T T"
Ba 0.000 3.084 0.000
Ba 3.084 0.000 0.000
Sr 0.000 0.000 2.959
Tl 3.084 3.084 2.959
Pd 0.000 0.000 0.000
```

=====

Relative energy table, unit eV/atom: (a) 0.059; (b) 0.000

=====

(a)
Density functional theory data (PBE) for crystalline Ba2TaPd at its relaxed geometry.

Geometry as extended XYZ:
```
16
Lattice="8.089 0.000 0.000 0.000 8.089 0.000 0.000 0.000 8.089" Properties=species:S:1:pos:R:3 pbc="T T T"
Ba 2.022 2.022 2.022
Ba 2.022 2.022 6.067
Ba 2.022 6.067 2.022
Ba 2.022 6.067 6.067
Ba 6.067 2.022 2.022
Ba 6.067 2.022 6.067
Ba 6.067 6.067 2.022
Ba 6.067 6.067 6.067
Ta 0.000 0.000 0.000
Ta 0.000 4.045 4.045
Ta 4.045 0.000 4.045
Ta 4.045 4.045 0.000
Pd 0.000 0.000 4.045
Pd 0.000 4.045 0.000
Pd 4.045 0.000 0.000
Pd 4.045 4.045 4.045
```

=====

(b)
Density functional theory data (PBE) for crystalline Ba2TaPd at its relaxed geometry.

Geometry as extended XYZ:
```
16
Lattice="8.971 0.000 0.000 0.000 8.971 0.000 0.000 0.000 6.485" Properties=species:S:1:pos:R:3 pbc="T T T"
Ba 1.877 2.243 0.811
Ba 2.243 6.363 2.432
Ba 2.243 7.093 5.675
Ba 2.608 2.243 4.053
Ba 6.363 6.728 4.053
Ba 6.728 1.877 5.675
Ba 6.728 2.608 2.432
Ba 7.093 6.728 0.811
Ta 0.000 0.000 3.243
Ta 0.000 4.485 4.864
Ta 4.485 0.000 1.621
Ta 4.485 4.485 0.000
Pd 0.000 0.000 0.000
Pd 0.000 4.485 1.621
Pd 4.485 0.000 4.864
Pd 4.485 4.485 3.243
```

=====

Relative energy table, unit eV/atom: (a) 0.000; (b) 0.104

=====

(a)
Density functional theory data (PBE) for crystalline BaTaPd2 at its relaxed geometry.

Geometry as extended XYZ:
```
16
Lattice="7.748 0.000 0.000 0.000 7.748 0.000 0.000 0.000 7.060" Properties=species:S:1:pos:R:3 pbc="T T T"
Ba 0.000 0.000 0.000
Ba 0.000 3.874 1.765
Ba 3.874 0.000 5.295
Ba 3.874 3.874 3.530
Ta 0.000 0.000 3.530
Ta 0.000 3.874 5.295
Ta 3.874 0.000 1.765
Ta 3.874 3.874 0.000
Pd 1.348 5.811 4.413
Pd 1.937 1.348 2.648
Pd 1.937 2.526 6.178
Pd 2.526 5.811 0.883
Pd 5.222 1.937 0.883
Pd 5.811 5.222 6.178
Pd 5.811 6.400 2.648
Pd 6.400 1.937 4.413
```

=====

(b)
Density functional theory data (PBE) for crystalline BaTaPd2 at its relaxed geometry.

Geometry as extended XYZ:
```
16
Lattice="7.061 0.000 0.000 0.000 7.061 0.000 0.000 0.000 7.061" Properties=species:S:1:pos:R:3 pbc="T T T"
Ba 0.000 0.000 0.000
Ba 0.000 3.531 3.531
Ba 3.531 0.000 3.531
Ba 3.531 3.531 0.000
Ta 0.000 0.000 3.531
Ta 0.000 3.531 0.000
Ta 3.531 0.000 0.000
Ta 3.531 3.531 3.531
Pd 1.765 1.765 1.765
____________

Most of our testosterone is produced at night, so the better your sleep and the more you get, the higher your testosterone levels. This is also why you often wake up with erections. If you don’t consistently, it could be a sign of lower testosterone levels. Getting less than 7-9 hours of sleep can reduce morning testosterone levels up to 10%

Control stress and anxiety

When we’re stressed, our body’s release cortisol. And while cortisol is good in small amounts, too much of it too often can kill testosterone levels. This also goes back to getting enough sleep, as being unrested can greatly increase cortisol levels.

Doing things like meditating, reading, and activities you enjoy can help manage stress and anxiety.

Have more sex

As if you need another reason…

Monitoring and managing T levels is extremely important for us as men, not only for our overall health, but our sex lives too. Get yourself checked, and implement the steps above to make sure you T levels are as high as they can be.